Vision and Mission

The Ghetto Fighters’ House – An Introduction

The Ghetto Fighters' House – Itzhak Katzenelson Holocaust and Jewish Resistance Heritage Museum was founded in 1949 by a community of Holocaust survivors, members of the Jewish underground in the ghettos of Poland, and veterans of partisan units, to be a place of testimony that would tell the story of the Jewish People in the 20th century in general, and during the Second World War in particular. At the center of this chronicle are the manifestations of Jewish resistance: the organized uprisings of Jews in the ghettos and camps, and the Jews who fought in partisan units and the armies of the Allied forces. The Ghetto Fighters’ House, the first museum in the world to commemorate the memory of the Holocaust and Jewish resistance, is the highest expression of its founders’ commitment to educational activity on the subject of the Holocaust, in Israel and on a global level. 


The Mission of the Ghetto Fighters’ House:

  • GFH’s mission is to collect, preserve, catalogue, and present to the public every piece of testimony and documentation that will aid in telling the fate of the Jewish People in the 20th century and the crimes perpetrated by Nazi Germany and its supporters. As a consequence of this, GFH is committed to maintaining a historical museum that displays these items of testimony, and an accredited scholarly archive that is accessible to the public. Its task is to foster the research and documentation projects that deepen our understanding of the Holocaust, the causes of it, and its effects and consequences.

  • GFH’s mission is to inform future generations about the rich Jewish world that existed before the Second World War and was totally destroyed during the war years, and to teach respect for the victims of the Holocaust and an understanding of their world and its circumstances.

  • GFH’s mission is to tell the uplifting story of Jewish youth prior to the Holocaust, the range of political organizations and youth movements operating in Jewish communities on the eve of the Holocaust, which became the cradle of the Jewish resistance that would arise during the Holocaust.

  • It is GFH’s mission to provide an historical account of Jewish resistance in all its forms and expressions: the attempt to carry on a meaningful existence under unbearable circumstances; the expressions of spiritual life, culture, and religion in a time of destruction; the maintenance of community life and activities of mutual assistance, clandestine schools, outlawed political organizations, underground documentary archives, rescue attempts, and finally, acts of armed resistance in the ghettos, camps, and partisan units. It is these stories that aid us in keeping faith with the future of humanity and that of the Jewish People.

  •  It is GFH’s obligation to pass along the heritage of the outstanding educators of the Holocaust-era, represented by the figures of Itzhak Katzenelson and Janusz Korczak, who stood at the vanguard of the struggle to maintain the qualities of humanity in those years of torment.  

  • GFH’s mission is to testify to the tragedy and perpetuate the memory of one and one-half million Jewish children who perished in the Holocaust, and to make of their sacrificed childhoods an educational lesson for this and future generations.

Here the entry breaks off for quantum chemistry results
/*
a) DFT (wB97M-V/def2-TZVPD) results for a cluster of 2 separate species, C2H3FNO2 in total.

As for the net charge: -1. The HOMO-LUMO gap comes out at 0.3539 hartree.

Each atom is followed by the atoms it is bonded to, with distances in Å.
Element x y z (Å)
1 O -1.05 1.15 0.17  C2 1.199
2 C -1.40 0.05 -0.14  O1 1.199, O3 1.192, F7 1.552
3 O -1.37 -0.70 -1.07  C2 1.192
4 H 0.96 -1.16 -0.94  N6 1.021
5 H 0.89 -0.17 1.18  C8 1.096
6 N 1.33 -0.21 -0.88  H4 1.021, C8 1.253
7 F -2.19 -0.61 1.03  C2 1.552
8 C 1.25 0.31 0.26  H5 1.096, N6 1.253, H9 1.085
9 H 1.59 1.33 0.38  C8 1.085

b) DFT (wB97M-V/def2-TZVPD) results for a cluster of 2 separate species, C2H3FNO2 in total.

As for the net charge: -1. The HOMO-LUMO gap comes out at 0.2296 hartree.

Each atom is followed by the atoms it is bonded to, with distances in Å.
Element x y z (Å)
1 C -2.40 0.83 -0.26  H2 1.174, F3 1.326
2 H -2.01 0.81 -1.37  C1 1.174
3 F -3.22 -0.20 -0.15  C1 1.326
4 C 2.01 -0.09 0.15  O5 1.195, O8 1.239, N9 1.518
5 O 2.65 -1.02 -0.22  C4 1.195
6 H 0.07 0.24 0.92  N9 0.996
7 H 0.09 -1.17 -0.02  N9 1.064
8 O 2.16 1.13 0.31  C4 1.239
9 N 0.64 -0.53 0.64  C4 1.518, H6 0.996, H7 1.064

b) is the least stable structure shown above.


Entry 1:
C4H12NO2 | ωB97M-V/def2-TZVPD

```
19
Properties=species:S:1:pos:R:3:forces:R:3
C 0.63796 -1.82401 -1.20826 1.1 1.6 2.5
N 1.22183 -0.38638 -1.34856 -2.1 -1.6 -0.3
C 0.14966 0.65554 -1.25308 -0.1 0.9 -0.3
C 0.32961 1.70797 -0.08344 -1.4 -4.8 0.6
C 0.36001 0.86213 1.32232 0.3 4.2 -0.5
O -0.84852 0.90765 1.86816 -1.8 -1.1 0.9
H 0.50137 -2.30226 -2.13634 -0.3 -0.3 -1.3
H -0.27819 -1.89825 -0.57021 0.4 0.5 -0.7
H 1.34846 -2.45606 -0.63162 0.0 0.4 -0.5
H 1.83004 -0.22448 -0.57450 0.3 -0.2 0.5
H -0.88847 0.21145 -1.32437 1.1 0.2 1.0
H 0.14356 1.23968 -2.16168 0.4 0.2 -0.8
H 1.02759 2.46292 -0.17218 2.2 1.1 -0.7
H -0.59514 2.19696 -0.00964 -1.4 0.7 0.2
H 0.82684 -0.07833 1.09854 0.4 -1.1 0.2
H 1.02506 1.52440 1.97650 0.4 -1.0 -0.4
H -2.07132 -0.08347 1.80401 -0.8 -1.3 -1.5
H -2.03249 -1.51911 1.89469 1.4 -2.1 0.9
O -2.68784 -0.99635 1.50966 0.1 3.6 0.3
```
Positions in Å, forces in eV/Å.

The net charge is -1. As for the highest occupied orbital energy: -3.11 eV. The molar mass is 106.1 g/mol. As for the gap between HOMO and LUMO: 0.263 Ha. The maximum force comes out at 5.1 eV Å⁻¹. Its spin multiplicity is 1. As for the energy above the lowest of the compared OMol25 structures with the same formula, charge and spin: 46.7 kcal/mol. Its LUMO energy is 4.03 eV.

=====

Entry 2:
C4H12NO2 | ωB97M-V/def2-TZVPD

```
19
Properties=species:S:1:pos:R:3:forces:R:3
C 1.39107 0.45215 1.30703 0.5 -0.8 -3.7
C 0.21803 -0.29424 0.41068 -2.7 1.9 2.4
C -0.65945 0.65745 -0.49663 2.5 1.5 -0.1
C 0.36892 1.50178 -1.35621 0.1 -1.4 -1.9
O 0.98024 2.49310 -0.79547 0.7 1.3 1.8
N -0.84203 -0.85840 1.38399 3.6 -0.3 1.0
H 2.48233 0.42159 0.71597 -3.1 0.2 1.3
H 1.56668 -0.08126 2.23967 -0.5 0.3 0.2
H 0.98330 1.46657 1.20913 0.9 0.2 1.0
H 0.72424 -1.08894 -0.02800 0.5 -1.4 -1.5
*/

  • It is GFH’s mission to teach about the Holocaust to wide audiences in Israel and across the globe, and to engage with them in a multicultural dialogue on the meaning of the Holocaust and the significance of its lessons for our times.

  • GFH’s obligation has been, from its inception, to introduce the commemoration of the Holocaust into the yearly calendar, in Israel and abroad, and to construct the Holocaust and Heroism Remembrance Day as an event of national unification and commemoration.

  • GFH’s mission is to work together with institutions of research and commemoration in Israel and abroad, in order to increase the awareness of the universal significance of the Holocaust, and in order to fight together against hatred, instances of racism, xenophobia, antisemitism, and denial of the Holocaust, and to intensify the commitment to the values of liberty, human dignity, tolerance, and democracy.

  • The Ghetto Fighters’ House is an integral part of the rich socio-cultural fabric of the State of Israel and the Western Galilee, and is committed to contributing to the welfare of Israeli society and to nurture its humanistic and democratic character.

  • The Ghetto Fighters’ House is an integral part of the Jewish People and the Zionist movement, and as such is committed to working towards Jewish continuity and to nurturing a modern, pluralistic Jewish culture.

# Attached: calculated molecules
41
Properties=species:S:1:pos:R:3 method="wB97M-V/def2-TZVPD" total_charge=-1 homo_lumo_gap_ev=5.83 e_tot_ev=-209298.591 e_above_lowest_kj_mol=0.0
C 1.25 2.27 1.11
C 2.34 1.86 2.08
Br 3.92 3.01 1.59
C 2.68 0.40 2.04
Br 4.23 0.07 3.18
Nb 0.99 -1.09 2.69
N -0.31 0.37 3.24
I 2.72 -3.18 2.04
P 0.22 -1.00 0.18
S 0.16 -2.69 -0.87
P 1.68 -1.37 5.20
O 2.93 -2.30 5.55
O 2.01 -0.02 6.05
S 0.04 -2.17 5.90
H 0.69 1.43 0.74
H 1.63 2.84 0.28
H 0.54 2.92 1.62
H 2.12 2.19 3.08
H 3.03 0.15 1.04
H -0.36 -2.31 2.73
H 0.04 1.12 3.83
H -0.87 0.78 2.50
H -1.05 -0.41 0.19
H 1.00 -0.05 -0.51
H 3.36 -1.96 6.35
H 2.11 0.72 5.45
C -2.64 -2.28 -3.54
C -1.45 -1.56 -4.11
O -1.83 -0.65 -5.16
C -2.31 0.52 -4.77
O -2.45 0.90 -3.64
O -2.64 1.22 -5.86
C -3.21 2.50 -5.57
H -3.21 -2.77 -4.33
H -2.31 -3.03 -2.82
H -3.31 -1.59 -3.03
H -0.76 -2.27 -4.58
H -0.90 -1.04 -3.33
H -2.58 3.07 -4.90
H -4.20 2.38 -5.14
H -3.29 3.01 -6.53

***

17
Properties=species:S:1:pos:R:3 method="wB97M-V/def2-TZVPD" total_charge=+1 homo_lumo_gap_ev=11.98 e_tot_ev=-11910.387 e_above_lowest_kj_mol=20.3
O -0.17 -1.71 0.01
C 0.25 -1.43 1.09
O 0.62 -2.30 2.03
C 0.60 -0.02 1.52
N 0.25 0.87 0.37
H 0.45 -3.19 1.69
H 0.24 0.36 2.47
H 1.66 0.03 1.58
H -0.70 1.29 0.40
H 0.78 1.74 0.29
H 0.39 0.37 -0.51
H 1.50 1.13 -2.34
H 0.56 0.73 -3.48
O 0.76 0.55 -2.55
H -3.05 0.35 -0.47
H -1.84 0.35 -1.40
O -2.28 0.88 -0.71

* * * * *

--- i ---
C5H4 | ωB97M-V/def2-TZVPD

The geometry in XYZ format:
```
9
Properties=species:S:1:pos:R:3
C 0.18 0.18 -0.32
C 1.36 -0.27 -1.10
C 2.02 -0.02 -2.16
C -0.75 1.09 -0.32
C 0.85 -1.03 0.13
H -0.82 1.83 -1.23
H -1.37 1.16 0.64
H 1.61 -1.39 0.85
H 0.39 -1.90 -0.36
```

orbital gap: 9.42 eV



--- ii ---
C5H4 | ωB97M-V/def2-TZVPD

The geometry in XYZ format:
```
9
Properties=species:S:1:pos:R:3
C 1.01 -0.06 0.07
C 2.26 0.23 -0.07
C 0.06 -1.12 0.05
C -1.00 -0.28 -0.07
C -0.15 0.92 0.05
H 0.04 -2.16 -0.03
H -1.96 -0.50 -0.32
H -0.08 1.32 1.14
H -0.17 1.64 -0.82
```

orbital gap: 8.86 eV



--- iii ---
C5H4 | ωB97M-V/def2-TZVPD

The geometry in XYZ format:
```
9
Properties=species:S:1:pos:R:3
C 1.58 -0.46 -0.22
C 1.38 0.83 0.27
C 0.14 1.16 -0.11
C -0.66 -0.03 0.04
C 0.40 -1.09 -0.23
H -0.38 2.15 -0.05
H -1.71 -0.07 -0.31
H -0.75 -0.39 1.14
H 0.00 -2.09 -0.52
```

orbital gap (alpha / beta): 7.81 / 7.77 eV
SMILES: C1=C=CCC=1



ii takes first place; second place is 10.0 kcal/mol up.

In order to best fulfill its mission as stated above, the Ghetto Fighters’ House has undertaken to maintain a reputable historical museum and scholarly archives of the highest academic standards, accessible to the public and researchers alike, with a staff of qualified professionals supported by a modern infrastructure and up-to-date tools and equipment.